# Work order
Set down the data below without additions, please.

# Listing
~~~
Here is crystalline RbPdI at its relaxed geometry from the Alexandria database. Energies are from GGA-PBE.

a b c (Å): 6.4182 4.6625 9.0512
angles (deg): 88.43 55.71 90.15
With the nearest neighbours (Å) after each atom.
Sites, in units of the cell vectors:
1 I 0.4877 0.2368 0.7459  3 Pd 2.74-2.95
2 I 0.5123 0.7632 0.2541  3 Pd 2.74-2.95
3 Pd 0.4663 0.2539 0.4291  3 I 2.74-2.95, 2 Pd 2.81
4 Pd 0.5337 0.7461 0.5709  3 I 2.74-2.95, 2 Pd 2.81
5 Rb 0.9317 0.7377 0.7552  1 Pd 3.23
6 Rb 0.0683 0.2623 0.2448  1 Pd 3.23

Output
Uncorrected formation energy ... -579.5 meV/atom
Theoretical density ... 4.734 g cm⁻³
Crystal system ... triclinic
E above lowest polymorph ... 0.0929 eV per atom

Here is crystalline CsY3Br at its relaxed geometry from the Alexandria database. Energies are from GGA-PBE.

a b c (Å): 5.6908 5.6908 5.6908
angles (deg): 90.00 90.00 90.00
With the nearest neighbours (Å) after each atom.
Sites, in units of the cell vectors:
1 Y 0.5000 0.0000 0.0000  2 Br 2.85
2 Y 0.0000 0.0000 0.5000  2 Br 2.85
3 Y 0.0000 0.5000 0.0000  2 Br 2.85
4 Cs 0.5000 0.5000 0.5000  12 Y 4.02
5 Br 0.0000 0.0000 0.0000  6 Y 2.85

Output
Uncorrected formation energy ... 242.8 meV/atom
Theoretical density ... 4.321 g cm⁻³
Crystal system ... cubic
E above lowest polymorph ... 0.0000 eV per atom

Here is crystalline Ho2VAg at its relaxed geometry from the Alexandria database. Energies are from GGA-PBE.

a b c (Å): 3.6117 3.6117 7.0908
angles (deg): 90.00 90.00 90.00
With the nearest neighbours (Å) after each atom.
Sites, in units of the cell vectors:
1 Ho 0.0000 0.0000 0.7591  4 V 3.07, 4 Ag 3.15, 1 Ho 3.42
2 Ho 0.0000 0.0000 0.2409  4 V 3.07, 4 Ag 3.15, 1 Ho 3.42
3 V 0.5000 0.5000 0.0000  8 Ho 3.07
4 Ag 0.5000 0.5000 0.5000  8 Ho 3.15

Output
ΔH_f (0 K) ... 0.016 eV/atom
Theoretical density ... 8.773 g cm⁻³
Crystal system ... tetragonal
E above lowest polymorph ... 0.0000 eV per atom

Here is crystalline Sr2Al2AgPd5 at its relaxed geometry from the Alexandria database. Energies are from GGA-PBE.

a b c (Å): 3.5485 10.4694 10.4694
angles (deg): 90.00 90.00 90.00
With the nearest neighbours (Å) after each atom.
Sites, in units of the cell vectors:
1 Pd 0.5000 0.7879 0.9359  2 Al 2.56
2 Pd 0.5000 0.9359 0.2121  2 Al 2.56
3 Pd 0.5000 0.4359 0.2879  2 Al 2.56
4 Pd 0.5000 0.0000 0.5000  4 Al 2.53
5 Pd 0.5000 0.7121 0.4359  2 Al 2.56
6 Pd 0.5000 0.5000 0.0000  4 Al 2.53
7 Pd 0.5000 0.2879 0.5641  2 Al 2.56
8 Pd 0.5000 0.2121 0.0641  2 Al 2.56
9 Pd 0.5000 0.5641 0.7121  2 Al 2.56
10 Pd 0.5000 0.0641 0.7879  2 Al 2.56
11 Ag 0.0000 0.0000 0.0000  8 Pd 2.92
12 Ag 0.0000 0.5000 0.5000  8 Pd 2.92
13 Al 0.0000 0.1214 0.6214  6 Pd 2.53-2.56
14 Al 0.0000 0.6214 0.8786  6 Pd 2.53-2.56
15 Al 0.0000 0.8786 0.3786  6 Pd 2.53-2.56
16 Al 0.0000 0.3786 0.1214  6 Pd 2.53-2.56
17 Sr 0.0000 0.8220 0.6780  3 Al 2.97-3.19, 10 Pd 3.18-3.30
18 Sr 0.0000 0.6780 0.1780  3 Al 2.97-3.19, 10 Pd 3.18-3.30
19 Sr 0.0000 0.1780 0.3220  3 Al 2.97-3.19, 10 Pd 3.18-3.30
20 Sr 0.0000 0.3220 0.8220  3 Al 2.97-3.19, 10 Pd 3.18-3.30

Output
ΔH_f (0 K) ... -0.572 eV/atom
Theoretical density ... 7.422 g cm⁻³
Crystal system ... tetragonal

Here is crystalline Pa2AuSe at its relaxed geometry from the Alexandria database. Energies are from GGA-PBE.

a b c (Å): 3.3847 3.3847 7.7649
angles (deg): 90.00 90.00 90.00
With the nearest neighbours (Å) after each atom.
Sites, in units of the cell vectors:
1 Au 0.5000 0.5000 0.5000  8 Pa 3.14, 4 Au 3.38
2 Pa 0.0000 0.0000 0.7616  4 Se 3.03, 4 Au 3.14, 4 Pa 3.38
3 Pa 0.0000 0.0000 0.2384  4 Se 3.03, 4 Au 3.14, 4 Pa 3.38
4 Se 0.5000 0.5000 0.0000  8 Pa 3.03, 4 Se 3.38

Output
Uncorrected formation energy ... -611.3 meV/atom
Theoretical density ... 13.776 g cm⁻³
Crystal system ... tetragonal
E above lowest polymorph ... 0.0000 eV per atom

Here is crystalline Ce3DySn12 at its relaxed geometry from the Alexandria database. Energies are from GGA-PBE.

a b c (Å): 4.7398 4.7398 18.6497
angles (deg): 90.00 90.00 90.00
~~~

# Written answer
Here is crystalline RbPdI at its relaxed geometry from the Alexandria database. Energies are from GGA-PBE.

a b c (Å): 6.4182 4.6625 9.0512
angles (deg): 88.43 55.71 90.15
With the nearest neighbours (Å) after each atom.
Sites, in units of the cell vectors:
1 I 0.4877 0.2368 0.7459  3 Pd 2.74-2.95
2 I 0.5123 0.7632 0.2541  3 Pd 2.74-2.95
3 Pd 0.4663 0.2539 0.4291  3 I 2.74-2.95, 2 Pd 2.81
4 Pd 0.5337 0.7461 0.5709  3 I 2.74-2.95, 2 Pd 2.81
5 Rb 0.9317 0.7377 0.7552  1 Pd 3.23
6 Rb 0.0683 0.2623 0.2448  1 Pd 3.23

Output
Uncorrected formation energy ... -579.5 meV/atom
Theoretical density ... 4.734 g cm⁻³
Crystal system ... triclinic
E above lowest polymorph ... 0.0929 eV per atom

Here is crystalline CsY3Br at its relaxed geometry from the Alexandria database. Energies are from GGA-PBE.

a b c (Å): 5.6908 5.6908 5.6908
angles (deg): 90.00 90.00 90.00
With the nearest neighbours (Å) after each atom.
Sites, in units of the cell vectors:
1 Y 0.5000 0.0000 0.0000  2 Br 2.85
2 Y 0.0000 0.0000 0.5000  2 Br 2.85
3 Y 0.0000 0.5000 0.0000  2 Br 2.85
4 Cs 0.5000 0.5000 0.5000  12 Y 4.02
5 Br 0.0000 0.0000 0.0000  6 Y 2.85

Output
Uncorrected formation energy ... 242.8 meV/atom
Theoretical density ... 4.321 g cm⁻³
Crystal system ... cubic
E above lowest polymorph ... 0.0000 eV per atom

Here is crystalline Ho2VAg at its relaxed geometry from the Alexandria database. Energies are from GGA-PBE.

a b c (Å): 3.6117 3.6117 7.0908
angles (deg): 90.00 90.00 90.00
With the nearest neighbours (Å) after each atom.
Sites, in units of the cell vectors:
1 Ho 0.0000 0.0000 0.7591  4 V 3.07, 4 Ag 3.15, 1 Ho 3.42
2 Ho 0.0000 0.0000 0.2409  4 V 3.07, 4 Ag 3.15, 1 Ho 3.42
3 V 0.5000 0.5000 0.0000  8 Ho 3.07
4 Ag 0.5000 0.5000 0.5000  8 Ho 3.15

Output
ΔH_f (0 K) ... 0.016 eV/atom
Theoretical density ... 8.773 g cm⁻³
Crystal system ... tetragonal
E above lowest polymorph ... 0.0000 eV per atom

Here is crystalline Sr2Al2AgPd5 at its relaxed geometry from the Alexandria database. Energies are from GGA-PBE.

a b c (Å): 3.5485 10.4694 10.4694
angles (deg): 90.00 90.00 90.00
With the nearest neighbours (Å) after each atom.
Sites, in units of the cell vectors:
1 Pd 0.5000 0.7879 0.9359  2 Al 2.56
2 Pd 0.5000 0.9359 0.2121  2 Al 2.56
3 Pd 0.5000 0.4359 0.2879  2 Al 2.56
4 Pd 0.5000 0.0000 0.5000  4 Al 2.53
5 Pd 0.5000 0.7121 0.4359  2 Al 2.56
6 Pd 0.5000 0.5000 0.0000  4 Al 2.53
7 Pd 0.5000 0.2879 0.5641  2 Al 2.56
8 Pd 0.5000 0.2121 0.0641  2 Al 2.56
9 Pd 0.5000 0.5641 0.7121  2 Al 2.56
10 Pd 0.5000 0.0641 0.7879  2 Al 2.56
11 Ag 0.0000 0.0000 0.0000  8 Pd 2.92
12 Ag 0.0000 0.5000 0.5000  8 Pd 2.92
13 Al 0.0000 0.1214 0.6214  6 Pd 2.53-2.56
14 Al 0.0000 0.6214 0.8786  6 Pd 2.53-2.56
15 Al 0.0000 0.8786 0.3786  6 Pd 2.53-2.56
16 Al 0.0000 0.3786 0.1214  6 Pd 2.53-2.56
17 Sr 0.0000 0.8220 0.6780  3 Al 2.97-3.19, 10 Pd 3.18-3.30
18 Sr 0.0000 0.6780 0.1780  3 Al 2.97-3.19, 10 Pd 3.18-3.30
19 Sr 0.0000 0.1780 0.3220  3 Al 2.97-3.19, 10 Pd 3.18-3.30
20 Sr 0.0000 0.3220 0.8220  3 Al 2.97-3.19, 10 Pd 3.18-3.30

Output
ΔH_f (0 K) ... -0.572 eV/atom
Theoretical density ... 7.422 g cm⁻³
Crystal system ... tetragonal

Here is crystalline Pa2AuSe at its relaxed geometry from the Alexandria database. Energies are from GGA-PBE.

a b c (Å): 3.3847 3.3847 7.7649
angles (deg): 90.00 90.00 90.00
With the nearest neighbours (Å) after each atom.
Sites, in units of the cell vectors:
1 Au 0.5000 0.5000 0.5000  8 Pa 3.14, 4 Au 3.38
2 Pa 0.0000 0.0000 0.7616  4 Se 3.03, 4 Au 3.14, 4 Pa 3.38
3 Pa 0.0000 0.0000 0.2384  4 Se 3.03, 4 Au 3.14, 4 Pa 3.38
4 Se 0.5000 0.5000 0.0000  8 Pa 3.03, 4 Se 3.38

Output
Uncorrected formation energy ... -611.3 meV/atom
Theoretical density ... 13.776 g cm⁻³
Crystal system ... tetragonal
E above lowest polymorph ... 0.0000 eV per atom

Here is crystalline Ce3DySn12 at its relaxed geometry from the Alexandria database. Energies are from GGA-PBE.

a b c (Å): 4.7398 4.7398 18.6497
angles (deg): 90.00 90.00 90.00